Next, transcribe all of the material underneath exactly.

____________
The following is a computed powder X-ray diffraction pattern of NdErTe2. It was derived from DFT lattice parameters and positions (PBE), using a wavelength of 1.5418 Å.
Lines closer than 0.1° are merged.

Top 8 peaks for 2θ from 10° to 90°, in order of rising 2θ:
2θ (°)  intensity  index
23.3  1  1 1 0
33.2  100  2 0 0
47.6  18  2 2 0
59.3  38  3 1 1
69.6  12  4 0 0
79.2  5  1 1 3
79.4  11  4 2 0
88.7  4  4 0 2

Crystal structure
a b c (Å): 5.3976 5.3976 3.8236
angles (deg): 90.00 90.00 90.00
Space group P4/mmm (No. 123)
Inequivalent atoms, fractional coordinates:
Nd (0.0000, 0.0000, 0.0000)
Er (0.5000, 0.5000, 0.0000)
Te (0.0000, 0.5000, 0.5000)

* * * * *

# 1
The following is a simulated powder XRD pattern of FeCu3Pt6. It was derived from a crystal structure in Alexandria, relaxed with GGA-PBE, using Cu Kα, 1.54184 Å.

Atomic structure:
abc: 7.201 4.495 9.501
angles: 90.00 110.42 90.00
Atoms (fractional coordinates):
Fe1 0.111 0.250 0.072
Fe2 0.889 0.750 0.928
Cu1 0.099 0.750 0.727
Cu2 0.296 0.750 0.531
Cu3 0.310 0.250 0.868
Cu4 0.690 0.750 0.132
Cu5 0.704 0.250 0.469
Cu6 0.901 0.250 0.273
Pt1 0.079 0.750 0.221
Pt2 0.105 0.250 0.570
Pt3 0.278 0.750 0.018
Pt4 0.297 0.250 0.366
Pt5 0.493 0.750 0.329
Pt6 0.499 0.750 0.834
Pt7 0.501 0.250 0.166
Pt8 0.507 0.250 0.671
Pt9 0.703 0.750 0.634
Pt10 0.722 0.250 0.982
Pt11 0.895 0.750 0.430
Pt12 0.921 0.250 0.779

Principal peaks in the range 5° ≤ 2θ ≤ 70°, in order of rising 2θ:
| two_theta | intensity |
| --- | --- |
| 27.59 | 42 |
| 32.49 | 16 |
| 37.89 | 16 |
| 38.70 | 33 |
| 40.12 | 75 |
| 43.08 | 100 |
| 43.19 | 100 |
| 43.81 | 67 |
| 56.97 | 22 |
| 68.04 | 16 |

---

# 2
The following is a simulated powder XRD pattern of Li3Zn2Cd3In. It was derived from a crystal structure in Alexandria, relaxed with GGA-PBE, using Cu Kα, 1.54184 Å.

Atomic structure:
abc: 7.985 7.985 3.014
angles: 90.00 90.00 120.00
Atoms (fractional coordinates):
Li1 0.000 0.693 0.000
Li2 0.307 0.307 0.000
Li3 0.693 0.000 0.000
Zn1 0.333 0.667 0.000
Zn2 0.667 0.333 0.000
Cd1 0.000 0.372 0.500
Cd2 0.372 0.000 0.500
Cd3 0.628 0.628 0.500
In1 0.000 0.000 0.500

Principal peaks in the range 5° ≤ 2θ ≤ 70°, in order of rising 2θ:
| two_theta | intensity |
| --- | --- |
| 22.27 | 100 |
| 25.77 | 19 |
| 29.64 | 19 |
| 32.41 | 20 |
| 37.39 | 79 |
| 39.08 | 92 |
| 39.67 | 49 |
| 45.96 | 34 |
| 49.80 | 17 |
| 66.62 | 28 |

---

# 3
The following is a simulated powder XRD pattern of Cs2VBr2Cl4. It was derived from a crystal structure in Alexandria, relaxed with GGA-PBE, using Cu Kα, 1.54184 Å.

Atomic structure:
abc: 7.537 7.537 7.537
angles: 119.32 119.32 91.18
Atoms (fractional coordinates):
Cs1 0.250 0.750 0.500
Cs2 0.750 0.250 0.500
V1 0.000 0.000 0.000
Br1 0.239 0.239 0.000
Br2 0.761 0.761 0.000
Cl1 0.216 0.216 0.432
Cl2 0.216 0.784 0.000
Cl3 0.784 0.216 0.000
Cl4 0.784 0.784 0.568

Principal peaks in the range 5° ≤ 2θ ≤ 70°, in order of rising 2θ:
| two_theta | intensity |
| --- | --- |
| 14.35 | 20 |
| 16.81 | 17 |
| 23.37 | 38 |
| 23.61 | 16 |
| 28.93 | 100 |
| 33.28 | 47 |
| 34.00 | 24 |
| 41.66 | 17 |
| 48.32 | 31 |
| 56.83 | 23 |

---

# 4
The following is a simulated powder XRD pattern of Na2BSO4F3. It was derived from a crystal structure in Alexandria, relaxed with GGA-PBE, using Cu Kα, 1.54184 Å.

Atomic structure:
abc: 6.699 6.710 6.745
angles: 83.23 67.96 82.74
Atoms (fractional coordinates):
Na1 0.224 0.347 0.386
Na2 0.241 0.920 0.770
Na3 0.759 0.080 0.230
Na4 0.776 0.653 0.614
B1 0.350 0.382 0.850
B2 0.650 0.618 0.150
S1 0.262 0.852 0.280
S2 0.738 0.148 0.720
O1 0.139 0.949 0.150
O2 0.147 0.698 0.442
O3 0.338 0.997 0.378
O4 0.467 0.744 0.112
O5 0.533 0.256 0.888
O6 0.662 0.003 0.622
O7 0.853 0.302 0.558
O8 0.861 0.051 0.850
F1 0.192 0.411 0.053
F2 0.268 0.284 0.724
F3 0.415 0.573 0.742
F4 0.585 0.427 0.258
F5 0.732 0.716 0.276
F6 0.808 0.589 0.947

Principal peaks in the range 5° ≤ 2θ ≤ 70°, in order of rising 2θ:
| two_theta | intensity |
| --- | --- |
| 16.08 | 38 |
| 18.75 | 34 |
| 20.28 | 43 |
____________

The following is a computed powder X-ray diffraction pattern of NdErTe2. It was derived from DFT lattice parameters and positions (PBE), using a wavelength of 1.5418 Å.
Lines closer than 0.1° are merged.

Top 8 peaks for 2θ from 10° to 90°, in order of rising 2θ:
2θ (°)  intensity  index
23.3  1  1 1 0
33.2  100  2 0 0
47.6  18  2 2 0
59.3  38  3 1 1
69.6  12  4 0 0
79.2  5  1 1 3
79.4  11  4 2 0
88.7  4  4 0 2

Crystal structure
a b c (Å): 5.3976 5.3976 3.8236
angles (deg): 90.00 90.00 90.00
Space group P4/mmm (No. 123)
Inequivalent atoms, fractional coordinates:
Nd (0.0000, 0.0000, 0.0000)
Er (0.5000, 0.5000, 0.0000)
Te (0.0000, 0.5000, 0.5000)

* * * * *

# 1
The following is a simulated powder XRD pattern of FeCu3Pt6. It was derived from a crystal structure in Alexandria, relaxed with GGA-PBE, using Cu Kα, 1.54184 Å.

Atomic structure:
abc: 7.201 4.495 9.501
angles: 90.00 110.42 90.00
Atoms (fractional coordinates):
Fe1 0.111 0.250 0.072
Fe2 0.889 0.750 0.928
Cu1 0.099 0.750 0.727
Cu2 0.296 0.750 0.531
Cu3 0.310 0.250 0.868
Cu4 0.690 0.750 0.132
Cu5 0.704 0.250 0.469
Cu6 0.901 0.250 0.273
Pt1 0.079 0.750 0.221
Pt2 0.105 0.250 0.570
Pt3 0.278 0.750 0.018
Pt4 0.297 0.250 0.366
Pt5 0.493 0.750 0.329
Pt6 0.499 0.750 0.834
Pt7 0.501 0.250 0.166
Pt8 0.507 0.250 0.671
Pt9 0.703 0.750 0.634
Pt10 0.722 0.250 0.982
Pt11 0.895 0.750 0.430
Pt12 0.921 0.250 0.779

Principal peaks in the range 5° ≤ 2θ ≤ 70°, in order of rising 2θ:
| two_theta | intensity |
| --- | --- |
| 27.59 | 42 |
| 32.49 | 16 |
| 37.89 | 16 |
| 38.70 | 33 |
| 40.12 | 75 |
| 43.08 | 100 |
| 43.19 | 100 |
| 43.81 | 67 |
| 56.97 | 22 |
| 68.04 | 16 |

---

# 2
The following is a simulated powder XRD pattern of Li3Zn2Cd3In. It was derived from a crystal structure in Alexandria, relaxed with GGA-PBE, using Cu Kα, 1.54184 Å.

Atomic structure:
abc: 7.985 7.985 3.014
angles: 90.00 90.00 120.00
Atoms (fractional coordinates):
Li1 0.000 0.693 0.000
Li2 0.307 0.307 0.000
Li3 0.693 0.000 0.000
Zn1 0.333 0.667 0.000
Zn2 0.667 0.333 0.000
Cd1 0.000 0.372 0.500
Cd2 0.372 0.000 0.500
Cd3 0.628 0.628 0.500
In1 0.000 0.000 0.500

Principal peaks in the range 5° ≤ 2θ ≤ 70°, in order of rising 2θ:
| two_theta | intensity |
| --- | --- |
| 22.27 | 100 |
| 25.77 | 19 |
| 29.64 | 19 |
| 32.41 | 20 |
| 37.39 | 79 |
| 39.08 | 92 |
| 39.67 | 49 |
| 45.96 | 34 |
| 49.80 | 17 |
| 66.62 | 28 |

---

# 3
The following is a simulated powder XRD pattern of Cs2VBr2Cl4. It was derived from a crystal structure in Alexandria, relaxed with GGA-PBE, using Cu Kα, 1.54184 Å.

Atomic structure:
abc: 7.537 7.537 7.537
angles: 119.32 119.32 91.18
Atoms (fractional coordinates):
Cs1 0.250 0.750 0.500
Cs2 0.750 0.250 0.500
V1 0.000 0.000 0.000
Br1 0.239 0.239 0.000
Br2 0.761 0.761 0.000
Cl1 0.216 0.216 0.432
Cl2 0.216 0.784 0.000
Cl3 0.784 0.216 0.000
Cl4 0.784 0.784 0.568

Principal peaks in the range 5° ≤ 2θ ≤ 70°, in order of rising 2θ:
| two_theta | intensity |
| --- | --- |
| 14.35 | 20 |
| 16.81 | 17 |
| 23.37 | 38 |
| 23.61 | 16 |
| 28.93 | 100 |
| 33.28 | 47 |
| 34.00 | 24 |
| 41.66 | 17 |
| 48.32 | 31 |
| 56.83 | 23 |

---

# 4
The following is a simulated powder XRD pattern of Na2BSO4F3. It was derived from a crystal structure in Alexandria, relaxed with GGA-PBE, using Cu Kα, 1.54184 Å.

Atomic structure:
abc: 6.699 6.710 6.745
angles: 83.23 67.96 82.74
Atoms (fractional coordinates):
Na1 0.224 0.347 0.386
Na2 0.241 0.920 0.770
Na3 0.759 0.080 0.230
Na4 0.776 0.653 0.614
B1 0.350 0.382 0.850
B2 0.650 0.618 0.150
S1 0.262 0.852 0.280
S2 0.738 0.148 0.720
O1 0.139 0.949 0.150
O2 0.147 0.698 0.442
O3 0.338 0.997 0.378
O4 0.467 0.744 0.112
O5 0.533 0.256 0.888
O6 0.662 0.003 0.622
O7 0.853 0.302 0.558
O8 0.861 0.051 0.850
F1 0.192 0.411 0.053
F2 0.268 0.284 0.724
F3 0.415 0.573 0.742
F4 0.585 0.427 0.258
F5 0.732 0.716 0.276
F6 0.808 0.589 0.947

Principal peaks in the range 5° ≤ 2θ ≤ 70°, in order of rising 2θ:
| two_theta | intensity |
| --- | --- |
| 16.08 | 38 |
| 18.75 | 34 |
| 20.28 | 43 |